Activity:
What is needed: type out the entries below from the first line to the one with "0.325 0.907" unchanged.

Input:
Starting from a cell relaxed with PBE+U, the powder diffractogram of Ca4MgSi8Ni3O24 was computed for λ = 1.5418 Å (Cu Kα).
Peak positions follow from Bragg's law for the DFT cell and can differ from measured ones.

Most intense lines, 2θ = 5–70°, sorted by position:
Position (°2θ)	I_rel
13.57	22.8
29.54	100.0
29.96	38.1
34.66	35.7
35.23	42.6
35.39	44.9
41.91	25.4
56.05	17.6
61.09	17.1
64.96	19.1

```
Ca4MgSi8Ni3O24
1.0
4.938 -4.498 0.000
4.938 4.498 0.000
-2.955 0.000 10.190
Ca Mg Si Ni O
4 1 8 3 24
direct
0.000 0.000 0.000
0.594 0.404 0.751
0.596 0.406 0.249
0.999 0.001 0.500
0.388 0.612 0.500
0.103 0.324 0.760
0.104 0.323 0.260
0.490 0.083 0.490
0.491 0.083 0.989
0.676 0.897 0.240
0.677 0.896 0.740
0.917 0.509 0.011
0.917 0.510 0.510
0.205 0.795 0.250
0.205 0.795 0.750
0.388 0.612 0.000
0.093 0.675 0.553
0.094 0.675 0.054
0.186 0.091 0.214
0.186 0.092 0.715
0.268 0.500 0.804
0.269 0.499 0.304
0.325 0.906 0.946
0.325 0.907 0.447
0.408 0.315 0.035
0.410 0.316 0.535
0.500 0.732 0.196
0.501 0.731 0.696
0.630 0.071 0.373
0.630 0.071 0.873
0.665 0.036 0.623
0.665 0.037 0.123
0.684 0.590 0.465
0.685 0.592 0.965
0.908 0.814 0.285
0.909 0.814 0.786
0.929 0.370 0.127
0.929 0.370 0.627
0.963 0.335 0.877
0.964 0.335 0.377
```

Here it is:
Starting from a cell relaxed with PBE+U, the powder diffractogram of Ca4MgSi8Ni3O24 was computed for λ = 1.5418 Å (Cu Kα).
Peak positions follow from Bragg's law for the DFT cell and can differ from measured ones.

Most intense lines, 2θ = 5–70°, sorted by position:
Position (°2θ)	I_rel
13.57	22.8
29.54	100.0
29.96	38.1
34.66	35.7
35.23	42.6
35.39	44.9
41.91	25.4
56.05	17.6
61.09	17.1
64.96	19.1

```
Ca4MgSi8Ni3O24
1.0
4.938 -4.498 0.000
4.938 4.498 0.000
-2.955 0.000 10.190
Ca Mg Si Ni O
4 1 8 3 24
direct
0.000 0.000 0.000
0.594 0.404 0.751
0.596 0.406 0.249
0.999 0.001 0.500
0.388 0.612 0.500
0.103 0.324 0.760
0.104 0.323 0.260
0.490 0.083 0.490
0.491 0.083 0.989
0.676 0.897 0.240
0.677 0.896 0.740
0.917 0.509 0.011
0.917 0.510 0.510
0.205 0.795 0.250
0.205 0.795 0.750
0.388 0.612 0.000
0.093 0.675 0.553
0.094 0.675 0.054
0.186 0.091 0.214
0.186 0.092 0.715
0.268 0.500 0.804
0.269 0.499 0.304
0.325 0.906 0.946
0.325 0.907 0.447